== Listing ==
# 1
Entry from the OMol25 dataset: a molecular structure, C23H24F2N5O2S2V (ωB97M-V with the def2-TZVPD basis set).

Its LUMO energy (alpha / beta) is 0.07850 / 0.07843 Ha. For the HOMO energy (alpha / beta), the calculation gives -2.04 / -3.38 eV. Its energy relative to the best compared isomer or geometry (same formula, charge and spin) is 0.0000 eV. Its expectation value of S² is 3.7865.

```
! wB97M-V def2-TZVPD RIJCOSX def2/J DEFGRID3
* xyz -1 4
V 0.78 -0.20 -1.16
S 3.20 -0.89 -1.52
C 4.01 0.65 -1.68
C 5.41 0.71 -1.72
C 6.09 1.91 -1.83
C 5.37 3.10 -1.92
C 3.99 3.06 -1.90
C 3.29 1.86 -1.78
S 1.53 1.90 -1.75
H 5.96 -0.23 -1.65
H 7.17 1.92 -1.86
H 5.89 4.04 -2.01
H 3.41 3.98 -1.97
N 1.47 -0.05 0.94
C 0.41 -0.62 1.75
C 0.81 -0.99 3.20
C 0.06 -0.15 4.24
C -1.30 -0.76 4.63
N -2.06 -1.30 3.51
C -2.77 -0.61 2.63
N -3.11 0.68 2.82
N -3.22 -1.27 1.57
C -0.20 -1.81 0.95
O -1.15 -2.44 1.51
O 0.27 -2.05 -0.17
H 2.26 -0.69 0.83
H 1.81 0.84 1.28
H -0.38 0.13 1.80
H 1.88 -0.83 3.30
H 0.62 -2.05 3.40
H -0.08 0.86 3.84
H 0.64 -0.05 5.16
H -1.90 -0.04 5.19
H -1.12 -1.60 5.29
H -1.61 -2.13 3.03
H -2.55 1.21 3.47
H -3.40 1.20 2.00
H -2.74 -2.15 1.37
H -3.49 -0.74 0.75
F -2.95 3.25 0.87
C -2.61 2.28 -0.04
C -1.33 1.76 -0.04
C -0.98 0.73 -0.92
C -1.98 0.26 -1.82
C -3.25 0.81 -1.77
F -4.23 0.41 -2.62
C -3.61 1.81 -0.88
C -1.49 -0.75 -2.75
C -2.25 -1.54 -3.60
C -1.65 -2.51 -4.38
C -0.26 -2.67 -4.29
C 0.45 -1.86 -3.45
N -0.12 -0.91 -2.67
H -0.59 2.21 0.62
H -4.60 2.24 -0.88
H -3.32 -1.39 -3.65
H -2.25 -3.13 -5.04
H 0.25 -3.42 -4.88
H 1.52 -1.96 -3.35
*
```

# 2
Entry from the OMol25 dataset: C23H24N2O4 in the gas phase (ωB97M-V with the def2-TZVPD basis set).

Its LUMO energy is 0.00794 Ha. For the HOMO energy, the calculation gives -8.28 eV. Its energy relative to the best compared isomer or geometry (same formula, charge and spin) is 0.4224 eV. The SMILES is Cc1c(O[C@H](C)C(=O)NCc2ccccn2)ccc2c3c(c(=O)oc12)CCCC3.

```
! wB97M-V def2-TZVPD RIJCOSX def2/J DEFGRID3
* xyz 0 1
C 2.13 -0.60 -2.39
C 0.99 0.06 -1.67
C 1.05 1.42 -1.35
O 2.19 2.06 -1.72
C 2.50 3.30 -1.08
C 3.91 3.69 -1.51
C 2.43 3.15 0.45
O 1.99 4.02 1.17
N 2.92 1.97 0.88
C 2.64 1.45 2.20
C 1.81 0.20 2.08
C 0.62 0.02 2.78
C -0.07 -1.17 2.62
C 0.44 -2.13 1.77
C 1.61 -1.85 1.09
N 2.28 -0.72 1.24
C -0.01 2.02 -0.67
C -1.10 1.28 -0.28
C -1.18 -0.08 -0.56
C -2.26 -0.94 -0.16
C -2.21 -2.27 -0.43
C -1.09 -2.86 -1.15
O -0.97 -4.03 -1.42
O -0.11 -2.00 -1.56
C -0.12 -0.68 -1.27
C -3.33 -3.14 0.01
C -4.68 -2.53 -0.42
C -4.73 -1.01 -0.18
C -3.49 -0.48 0.56
H 1.79 -1.50 -2.88
H 2.56 0.09 -3.12
H 2.91 -0.87 -1.67
H 1.80 4.08 -1.39
H 3.95 3.79 -2.59
H 4.62 2.92 -1.21
H 4.19 4.63 -1.05
H 3.19 1.27 0.20
H 2.12 2.23 2.76
H 3.59 1.21 2.70
H 0.26 0.79 3.44
H -0.99 -1.34 3.16
H -0.07 -3.07 1.62
H 2.05 -2.56 0.40
H 0.03 3.07 -0.42
H -1.89 1.77 0.26
H -3.31 -3.23 1.10
H -3.21 -4.14 -0.41
H -4.82 -2.73 -1.49
H -5.48 -3.03 0.12
H -5.62 -0.76 0.40
H -4.80 -0.49 -1.13
H -3.55 0.60 0.62
H -3.48 -0.88 1.57
*
```

# 3
Entry from the OMol25 dataset: 2 unconnected molecules or ions with the total composition C23H24N3O2 (ωB97M-V with the def2-TZVPD basis set).

Its LUMO energy is -0.10853 Ha. For the HOMO energy, the calculation gives -10.97 eV. Its energy relative to the best compared isomer or geometry (same formula, charge and spin) is 0.0000 eV.

```
! wB97M-V def2-TZVPD RIJCOSX def2/J DEFGRID3
* xyz 1 1
C 5.72 -2.70 -0.34
C 5.43 -2.69 -1.89
N 5.32 -3.80 -2.51
C 5.23 -1.30 -2.64
C 3.69 -0.95 -2.47
C 3.31 0.31 -1.82
C 1.88 0.59 -1.64
C 0.89 -0.40 -2.09
C 1.29 -1.67 -2.76
C 2.71 -1.95 -2.95
C 0.13 -2.63 -3.18
O 0.07 -3.23 -4.22
C -1.04 -2.72 -2.12
C -1.70 -3.99 -1.79
C -2.79 -3.96 -0.79
C -3.19 -2.69 -0.16
C -2.53 -1.42 -0.49
C -1.44 -1.45 -1.47
C -0.64 -0.16 -1.87
O -1.19 0.91 -2.02
H 6.76 -3.03 -0.09
H 5.00 -3.45 0.09
H 5.45 -1.70 0.12
H 5.10 -3.57 -3.49
H 5.83 -0.50 -2.10
H 5.55 -1.36 -3.71
H 4.14 0.99 -1.48
H 1.58 1.54 -1.14
H 3.00 -2.91 -3.43
H -1.40 -4.95 -2.27
H -3.29 -4.93 -0.53
H -4.03 -2.65 0.58

== Brief ==
It remains to set down the contents above word for word.

== Outcome ==
# 1
Entry from the OMol25 dataset: a molecular structure, C23H24F2N5O2S2V (ωB97M-V with the def2-TZVPD basis set).

Its LUMO energy (alpha / beta) is 0.07850 / 0.07843 Ha. For the HOMO energy (alpha / beta), the calculation gives -2.04 / -3.38 eV. Its energy relative to the best compared isomer or geometry (same formula, charge and spin) is 0.0000 eV. Its expectation value of S² is 3.7865.

```
! wB97M-V def2-TZVPD RIJCOSX def2/J DEFGRID3
* xyz -1 4
V 0.78 -0.20 -1.16
S 3.20 -0.89 -1.52
C 4.01 0.65 -1.68
C 5.41 0.71 -1.72
C 6.09 1.91 -1.83
C 5.37 3.10 -1.92
C 3.99 3.06 -1.90
C 3.29 1.86 -1.78
S 1.53 1.90 -1.75
H 5.96 -0.23 -1.65
H 7.17 1.92 -1.86
H 5.89 4.04 -2.01
H 3.41 3.98 -1.97
N 1.47 -0.05 0.94
C 0.41 -0.62 1.75
C 0.81 -0.99 3.20
C 0.06 -0.15 4.24
C -1.30 -0.76 4.63
N -2.06 -1.30 3.51
C -2.77 -0.61 2.63
N -3.11 0.68 2.82
N -3.22 -1.27 1.57
C -0.20 -1.81 0.95
O -1.15 -2.44 1.51
O 0.27 -2.05 -0.17
H 2.26 -0.69 0.83
H 1.81 0.84 1.28
H -0.38 0.13 1.80
H 1.88 -0.83 3.30
H 0.62 -2.05 3.40
H -0.08 0.86 3.84
H 0.64 -0.05 5.16
H -1.90 -0.04 5.19
H -1.12 -1.60 5.29
H -1.61 -2.13 3.03
H -2.55 1.21 3.47
H -3.40 1.20 2.00
H -2.74 -2.15 1.37
H -3.49 -0.74 0.75
F -2.95 3.25 0.87
C -2.61 2.28 -0.04
C -1.33 1.76 -0.04
C -0.98 0.73 -0.92
C -1.98 0.26 -1.82
C -3.25 0.81 -1.77
F -4.23 0.41 -2.62
C -3.61 1.81 -0.88
C -1.49 -0.75 -2.75
C -2.25 -1.54 -3.60
C -1.65 -2.51 -4.38
C -0.26 -2.67 -4.29
C 0.45 -1.86 -3.45
N -0.12 -0.91 -2.67
H -0.59 2.21 0.62
H -4.60 2.24 -0.88
H -3.32 -1.39 -3.65
H -2.25 -3.13 -5.04
H 0.25 -3.42 -4.88
H 1.52 -1.96 -3.35
*
```

# 2
Entry from the OMol25 dataset: C23H24N2O4 in the gas phase (ωB97M-V with the def2-TZVPD basis set).

Its LUMO energy is 0.00794 Ha. For the HOMO energy, the calculation gives -8.28 eV. Its energy relative to the best compared isomer or geometry (same formula, charge and spin) is 0.4224 eV. The SMILES is Cc1c(O[C@H](C)C(=O)NCc2ccccn2)ccc2c3c(c(=O)oc12)CCCC3.

```
! wB97M-V def2-TZVPD RIJCOSX def2/J DEFGRID3
* xyz 0 1
C 2.13 -0.60 -2.39
C 0.99 0.06 -1.67
C 1.05 1.42 -1.35
O 2.19 2.06 -1.72
C 2.50 3.30 -1.08
C 3.91 3.69 -1.51
C 2.43 3.15 0.45
O 1.99 4.02 1.17
N 2.92 1.97 0.88
C 2.64 1.45 2.20
C 1.81 0.20 2.08
C 0.62 0.02 2.78
C -0.07 -1.17 2.62
C 0.44 -2.13 1.77
C 1.61 -1.85 1.09
N 2.28 -0.72 1.24
C -0.01 2.02 -0.67
C -1.10 1.28 -0.28
C -1.18 -0.08 -0.56
C -2.26 -0.94 -0.16
C -2.21 -2.27 -0.43
C -1.09 -2.86 -1.15
O -0.97 -4.03 -1.42
O -0.11 -2.00 -1.56
C -0.12 -0.68 -1.27
C -3.33 -3.14 0.01
C -4.68 -2.53 -0.42
C -4.73 -1.01 -0.18
C -3.49 -0.48 0.56
H 1.79 -1.50 -2.88
H 2.56 0.09 -3.12
H 2.91 -0.87 -1.67
H 1.80 4.08 -1.39
H 3.95 3.79 -2.59
H 4.62 2.92 -1.21
H 4.19 4.63 -1.05
H 3.19 1.27 0.20
H 2.12 2.23 2.76
H 3.59 1.21 2.70
H 0.26 0.79 3.44
H -0.99 -1.34 3.16
H -0.07 -3.07 1.62
H 2.05 -2.56 0.40
H 0.03 3.07 -0.42
H -1.89 1.77 0.26
H -3.31 -3.23 1.10
H -3.21 -4.14 -0.41
H -4.82 -2.73 -1.49
H -5.48 -3.03 0.12
H -5.62 -0.76 0.40
H -4.80 -0.49 -1.13
H -3.55 0.60 0.62
H -3.48 -0.88 1.57
*
```

# 3
Entry from the OMol25 dataset: 2 unconnected molecules or ions with the total composition C23H24N3O2 (ωB97M-V with the def2-TZVPD basis set).

Its LUMO energy is -0.10853 Ha. For the HOMO energy, the calculation gives -10.97 eV. Its energy relative to the best compared isomer or geometry (same formula, charge and spin) is 0.0000 eV.

```
! wB97M-V def2-TZVPD RIJCOSX def2/J DEFGRID3
* xyz 1 1
C 5.72 -2.70 -0.34
C 5.43 -2.69 -1.89
N 5.32 -3.80 -2.51
C 5.23 -1.30 -2.64
C 3.69 -0.95 -2.47
C 3.31 0.31 -1.82
C 1.88 0.59 -1.64
C 0.89 -0.40 -2.09
C 1.29 -1.67 -2.76
C 2.71 -1.95 -2.95
C 0.13 -2.63 -3.18
O 0.07 -3.23 -4.22
C -1.04 -2.72 -2.12
C -1.70 -3.99 -1.79
C -2.79 -3.96 -0.79
C -3.19 -2.69 -0.16
C -2.53 -1.42 -0.49
C -1.44 -1.45 -1.47
C -0.64 -0.16 -1.87
O -1.19 0.91 -2.02
H 6.76 -3.03 -0.09
H 5.00 -3.45 0.09
H 5.45 -1.70 0.12
H 5.10 -3.57 -3.49
H 5.83 -0.50 -2.10
H 5.55 -1.36 -3.71
H 4.14 0.99 -1.48
H 1.58 1.54 -1.14
H 3.00 -2.91 -3.43
H -1.40 -4.95 -2.27
H -3.29 -4.93 -0.53
H -4.03 -2.65 0.58